# Exercise
Your job: reproduce the whole of the material underneath character by character.
# Data
........
Entry 1:
PrDy5Cd3 GGA-PBE optimized geometry; crystal system = hexagonal; spin magnetization = 0.00 μB per formula unit; N(E_F) = 6.4 states/eV/f.u.; DFT formation energy = -0.17 eV per atom
1.0
-3.6724 2.3590 5.4515
4.1268 -6.1909 5.4590
3.7188 8.3714 -1.1174
Pr Dy Cd
2 10 6
direct
0.0000 0.0000 0.0000 Pr
0.5000 0.0000 0.0000 Pr
0.0000 0.6667 0.3333 Dy
0.5000 0.3333 0.6667 Dy
0.0000 0.3333 0.6667 Dy
0.5000 0.6667 0.3333 Dy
0.7500 0.6671 0.6671 Dy
0.7500 0.0000 0.3329 Dy
0.7500 0.3329 0.0000 Dy
0.2500 0.3329 0.3329 Dy
0.2500 0.0000 0.6671 Dy
0.2500 0.6671 0.0000 Dy
0.7500 0.3386 0.3386 Cd
0.7500 0.0000 0.6614 Cd
0.7500 0.6613 0.0000 Cd
0.2500 0.6614 0.6614 Cd
0.2500 0.0000 0.3386 Cd
0.2500 0.3387 0.0000 Cd

***

Entry 2:
Y3HPb2 GGA-PBE optimized geometry; electronic total energy = -65.883 eV per cell; crystal system = monoclinic; spin magnetization = 0.00 μB per formula unit; N(E_F) = 4.1 states/eV/f.u.
1.0
6.3031 0.0000 0.0000
0.0000 8.7512 0.3034
-3.1516 -1.7141 5.5050
Y H Pb
6 2 4
direct
0.3353 0.2500 0.0000 Y
0.6647 0.7500 0.0000 Y
0.0221 0.1560 0.2896 Y
0.7325 0.3440 0.7104 Y
0.2675 0.6560 0.2896 Y
0.9779 0.8440 0.7104 Y
0.0005 0.7500 0.0000 H
0.9995 0.2500 0.0000 H
0.7659 0.5052 0.2840 Pb
0.5181 0.0052 0.2840 Pb
0.4819 0.9948 0.7160 Pb
0.2341 0.4948 0.7160 Pb

***

Entry 3:
K2IBr2 GGA-PBE optimized geometry; crystal system = tetragonal; spin magnetization = 0.00 μB per formula unit; N(E_F) = 1.5 states/eV/f.u.; energy relative to the elements, uncorrected = -595 kJ/mol of formula units
1.0
-1.6974 4.9450 3.5856
-6.0776 -0.9954 -1.5043
-4.3636 -1.0208 4.9465
I K Br
1 2 2
direct
0.0000 0.0000 0.0000 I
0.7500 0.2500 0.5000 K
0.2500 0.7500 0.5000 K
0.3379 0.3379 0.3242 Br
0.6621 0.6621 0.6758 Br
........
# Here it is
Entry 1:
PrDy5Cd3 GGA-PBE optimized geometry; crystal system = hexagonal; spin magnetization = 0.00 μB per formula unit; N(E_F) = 6.4 states/eV/f.u.; DFT formation energy = -0.17 eV per atom
1.0
-3.6724 2.3590 5.4515
4.1268 -6.1909 5.4590
3.7188 8.3714 -1.1174
Pr Dy Cd
2 10 6
direct
0.0000 0.0000 0.0000 Pr
0.5000 0.0000 0.0000 Pr
0.0000 0.6667 0.3333 Dy
0.5000 0.3333 0.6667 Dy
0.0000 0.3333 0.6667 Dy
0.5000 0.6667 0.3333 Dy
0.7500 0.6671 0.6671 Dy
0.7500 0.0000 0.3329 Dy
0.7500 0.3329 0.0000 Dy
0.2500 0.3329 0.3329 Dy
0.2500 0.0000 0.6671 Dy
0.2500 0.6671 0.0000 Dy
0.7500 0.3386 0.3386 Cd
0.7500 0.0000 0.6614 Cd
0.7500 0.6613 0.0000 Cd
0.2500 0.6614 0.6614 Cd
0.2500 0.0000 0.3386 Cd
0.2500 0.3387 0.0000 Cd

***

Entry 2:
Y3HPb2 GGA-PBE optimized geometry; electronic total energy = -65.883 eV per cell; crystal system = monoclinic; spin magnetization = 0.00 μB per formula unit; N(E_F) = 4.1 states/eV/f.u.
1.0
6.3031 0.0000 0.0000
0.0000 8.7512 0.3034
-3.1516 -1.7141 5.5050
Y H Pb
6 2 4
direct
0.3353 0.2500 0.0000 Y
0.6647 0.7500 0.0000 Y
0.0221 0.1560 0.2896 Y
0.7325 0.3440 0.7104 Y
0.2675 0.6560 0.2896 Y
0.9779 0.8440 0.7104 Y
0.0005 0.7500 0.0000 H
0.9995 0.2500 0.0000 H
0.7659 0.5052 0.2840 Pb
0.5181 0.0052 0.2840 Pb
0.4819 0.9948 0.7160 Pb
0.2341 0.4948 0.7160 Pb

***

Entry 3:
K2IBr2 GGA-PBE optimized geometry; crystal system = tetragonal; spin magnetization = 0.00 μB per formula unit; N(E_F) = 1.5 states/eV/f.u.; energy relative to the elements, uncorrected = -595 kJ/mol of formula units
1.0
-1.6974 4.9450 3.5856
-6.0776 -0.9954 -1.5043
-4.3636 -1.0208 4.9465
I K Br
1 2 2
direct
0.0000 0.0000 0.0000 I
0.7500 0.2500 0.5000 K
0.2500 0.7500 0.5000 K
0.3379 0.3379 0.3242 Br
0.6621 0.6621 0.6758 Br